I often see hiring managers and human resource departments focus on finding candidates who, on paper, possess the knowledge and skills required to operationally function in the position they are recruiting for. During the interview phase, they then seek to evaluate if an individual is passionate about their profession and enthusiastic about the prospect of joining the organization.

Unrelated to this text: calculated molecules:
┌──
Record 1
Density functional theory data (ωB97M-V/def2-TZVPD) for a cluster of 2 separate species, C2H8NOS2 in total at a distorted geometry.

Properties
Charge: +1
HOMO energy (eV): -12.8
Energy relative to the best compared isomer or geometry (same formula, charge and spin) (eV): 3.1998
LUMO level (eV): -4.545

Structure (XYZ):
```
14
C2H8NOS2 ωB97M-V/def2-TZVPD
C -0.80 0.63 -1.10
C -0.64 -0.79 -0.74
N -1.10 -1.26 0.36
O 2.26 0.05 1.80
S -1.37 1.81 0.17
S 2.02 -0.54 0.01
H -0.03 1.03 -1.70
H -1.59 0.51 -1.79
H -0.04 -1.37 -1.44
H 3.01 -0.52 1.94
H -1.45 -0.72 1.07
H -0.78 -2.21 0.62
H 2.55 0.94 1.59
H -2.04 2.43 -0.77
```

Results of the Löwdin charge analysis, in e, for atoms 1 through 8: number 1, C, carries -0.552; number 2, C, carries -0.253; number 3, N, carries 0.184; number 4, O, carries -0.262; number 5, S, carries 0.784; number 6, S, carries 0.540; number 7, H, carries 0.073; number 8, H, carries 0.089

Record 2
Density functional theory data (ωB97M-V/def2-TZVPD) for a structure of composition C2H8NOSi at a distorted geometry.

Properties
Charge: -1
HOMO energy (eV): -3.7
Energy relative to the best compared isomer or geometry (same formula, charge and spin) (eV): 4.5049
LUMO level (eV): 4.483

Structure (XYZ):
```
13
C2H8NOSi ωB97M-V/def2-TZVPD
C 1.56 0.50 0.02
C -1.38 0.27 -0.92
N -0.16 -1.84 0.28
O -0.50 -1.03 1.85
Si -0.26 -0.01 0.63
H 2.36 -0.15 -0.15
H 1.19 0.95 -0.87
H 2.06 1.38 0.68
H -1.64 -0.69 -1.37
H -2.31 0.64 -0.65
H -0.89 0.86 -1.67
H 0.78 -2.14 0.65
H -0.81 1.26 1.51
```

Results of the Löwdin charge analysis, in e, for atoms 1 through 8: number 1, C, carries -0.221; number 2, C, carries -0.233; number 3, N, carries -0.073; number 4, O, carries -0.363; number 5, Si, carries 0.039; number 6, H, carries -0.040; number 7, H, carries -0.053; number 8, H, carries 0.040

Record 3
Density functional theory data (ωB97M-V/def2-TZVPD) for a cluster of 2 separate species, C2H8NS in total at a distorted geometry.

Properties
Charge: -1
HOMO energy (eV): -2.4
Energy relative to the best compared isomer or geometry (same formula, charge and spin) (eV): 0.1422
LUMO level (eV): 4.406

Structure (XYZ):
```
12
C2H8NS ωB97M-V/def2-TZVPD
N -2.03 0.12 -1.41
H -1.39 0.61 -2.02
H -1.75 0.47 -0.49
H -1.88 -0.87 -1.45
C 1.44 -0.39 0.23
C 0.30 0.10 1.13
S -0.05 1.90 0.75
H 2.31 0.25 0.42
H 1.25 -0.21 -0.83
H 1.71 -1.42 0.45
H 0.64 0.02 2.17
H -0.55 -0.57 1.04
```

Results of the Löwdin charge analysis, in e, for atoms 1 through 8: number 1, N, carries -0.011; number 2, H, carries -0.019; number 3, H, carries -0.091; number 4, H, carries -0.021; number 5, C, carries -0.272; number 6, C, carries -0.799; number 7, S, carries 0.062; number 8, H, carries 0.039

Record 4
Density functional theory data (ωB97M-V/def2-TZVPD) for a cluster of 2 separate species, C2H8NS in total at a distorted geometry.

Properties
Charge: -1
HOMO energy (eV): -2.8
Energy relative to the best compared isomer or geometry (same formula, charge and spin) (eV): 0.6973
└──

This process continues to evolve, and companies increasingly want a better understanding of what contributes to predicting performance in possible new hires. They want to better understand a candidate’s motivation, values, beliefs and goals in addition to their competencies. This allows the hiring organization to better assess whether there are personality characteristics and traits that, when pushed to extremes, will impede the individual’s ability to be effective in executing the responsibilities of the position.

Next to the piece, the page also holds calculated molecules.
<<<
This record from OMol25 describes a structure of composition C73H134F36N11O25PS12. The level of theory is ωB97M-V with the def2-TZVPD basis set.

Geometry as XYZ:
```
292
Properties=species:S:1:pos:R:3:mulliken_charge:R:1
C -14.77 -30.56 -27.79 -1.173
C -14.58 -30.52 -26.27 2.184
C -13.28 -29.80 -25.89 0.483
N -13.63 -28.88 -24.72 1.003
C -14.39 -27.73 -25.30 1.764
C -14.54 -26.63 -24.25 -0.730
C -13.18 -26.07 -23.78 -1.105
C -12.27 -27.12 -23.31 1.734
C -12.21 -28.31 -24.30 -0.593
C -14.31 -29.57 -23.50 0.993
H -15.59 -31.22 -28.07 -0.033
H -13.91 -31.03 -28.26 0.545
H -14.92 -29.63 -28.33 0.066
H -14.60 -31.54 -25.87 -0.343
H -15.45 -30.10 -25.77 -1.158
H -12.77 -29.15 -26.60 -0.543
H -12.55 -30.49 -25.48 0.157
H -13.86 -27.22 -26.10 -1.643
H -15.42 -27.98 -25.56 -0.018
H -15.07 -25.79 -24.70 0.819
H -15.05 -26.97 -23.35 -0.264
H -12.77 -25.55 -24.65 0.127
H -13.33 -25.32 -23.01 0.553
H -11.28 -26.68 -23.28 -0.982
H -12.52 -27.28 -22.26 -0.080
H -11.74 -27.90 -25.19 -0.465
H -11.71 -29.18 -23.85 0.747
H -15.36 -29.69 -23.76 -0.101
H -14.35 -28.93 -22.62 0.035
H -13.81 -30.50 -23.22 -0.766
C -18.10 -25.20 -26.83 -1.278
C -18.33 -24.94 -28.34 0.968
C -19.53 -24.00 -28.80 -0.792
N -19.37 -23.42 -30.29 0.536
C -20.67 -22.63 -30.60 -0.803
C -20.70 -21.82 -31.95 -0.503
C -19.52 -20.92 -31.88 -0.900
C -18.18 -21.67 -31.78 -0.715
C -18.16 -22.50 -30.43 -0.668
C -19.33 -24.56 -31.34 -1.320
H -17.25 -25.85 -26.61 -0.006
H -18.96 -25.67 -26.36 0.403
H -17.82 -24.28 -26.33 0.502
H -18.58 -25.96 -28.64 -0.255
H -17.36 -24.70 -28.78 -0.113
H -19.37 -23.09 -28.23 0.325
H -20.54 -24.41 -28.79 0.434
H -20.74 -21.96 -29.74 0.520
H -21.56 -23.25 -30.61 0.413
H -21.65 -21.30 -32.07 0.400
H -20.54 -22.41 -32.86 0.254
H -19.56 -20.30 -30.98 0.332
H -19.47 -20.28 -32.76 0.414
H -17.27 -21.08 -31.70 0.512
H -18.06 -22.41 -32.56 0.336
H -18.14 -21.95 -29.49 0.379
H -17.30 -23.17 -30.50 0.356
H -18.46 -25.20 -31.20 0.207
H -19.46 -24.16 -32.34 0.537
H -20.24 -25.15 -31.29 0.478
C -8.69 -24.08 -18.22 -0.991
C -8.41 -25.60 -18.51 -0.419
C -7.71 -25.93 -19.85 0.218
N -7.21 -27.38 -20.22 0.361
C -8.40 -28.41 -20.21 -1.264
C -9.29 -28.01 -21.39 1.499
C -8.56 -27.90 -22.72 -0.195
C -7.31 -27.01 -22.65 -0.583
C -6.38 -27.46 -21.56 -0.954
C -6.20 -27.88 -19.21 -1.113
H -7.89 -23.35 -18.36 0.439
H -9.14 -23.89 -17.25 0.356
H -9.41 -23.80 -19.00 -0.081
H -9.35 -26.14 -18.41 0.252
H -7.75 -26.04 -17.76 0.272
H -6.88 -25.23 -19.76 0.391
H -8.22 -25.50 -20.71 -0.427
H -9.02 -28.41 -19.30 0.346
H -7.90 -29.35 -20.38 0.428
H -9.82 -27.11 -21.09 0.114
H -10.01 -28.80 -21.60 -0.537
H -9.25 -27.45 -23.43 -0.003
H -8.35 -28.91 -23.08 0.216
H -7.67 -25.99 -22.55 -0.044
H -6.83 -27.02 -23.63 0.648
H -5.53 -26.79 -21.48 0.545
H -5.97 -28.47 -21.63 0.497
H -5.74 -28.83 -19.48 0.446
H -6.65 -27.91 -18.21 0.369
H -5.32 -27.23 -19.23 0.406
C -17.84 -33.20 -28.95 -1.150
C -17.75 -33.66 -30.37 -0.578
C -19.12 -33.49 -31.03 -0.251
N -19.34 -33.81 -32.59 0.390
C -20.79 -33.52 -32.93 -0.048
>>>

In a July 2016 Career Intelligence column, I discussed the increased use of analytical assessment instruments and the greater emphasis on evaluating emotional intelligence of candidates. The list below expands on those topics by identifying specific personal characteristics that have the possibility to negatively impact or derail your security career when the behaviors are taken to extreme highs or lows. Individuals who fail as leaders often display one or more of these problematic tendencies that typically appear when the person is under stress.

Here the entry breaks off for quantum chemistry results:
[1]
{"formula": "C4H4ClFO", "method": "wB97M-V/def2-TZVPD", "symbols": ["O", "C", "C", "C", "C", "F", "Cl", "H", "H", "H", "H"], "positions_angstrom": [[-2.0054, 1.7315, -0.5633], [-1.3330, 1.0285, 0.0841], [-0.1590, 0.2005, -0.4152], [0.1741, -1.1917, 0.0340], [1.0973, -0.1034, 0.3598], [1.2888, 0.5950, 1.5269], [2.6114, -0.0036, -0.5066], [-1.4854, 0.7770, 1.1497], [-0.0444, 0.2879, -1.4858], [-0.5765, -1.5546, 0.6741], [0.4323, -1.7672, -0.8579]], "forces_ev_per_angstrom": [[-1.3, 1.6, -1.4], [2.5, -3.1, 2.0], [-0.1, 1.5, -1.8], [-0.4, -0.2, -0.4], [0.3, 2.0, -0.5], [-0.8, -1.2, 0.1], [0.1, -0.3, -0.2], [-0.6, 0.5, 0.4], [0.2, 0.5, -0.1], [-0.3, -0.9, 1.2], [0.1, -0.3, 0.8]], "lumo_ev": 0.7, "homo_lumo_gap_ha": 0.401, "smiles": "O=C[C@@H]1C[C@@]1(F)Cl", "relative_energy_kj_mol": 94.86, "total_energy_ha": -790.0456}

[2]
{"formula": "C4H4ClNOS", "method": "wB97M-V/def2-TZVPD", "symbols": ["O", "C", "C", "C", "Cl", "N", "C", "S", "H", "H", "H", "H"], "positions_angstrom": [[-0.1337, -0.6417, 2.3166], [-0.2165, -0.0607, 1.0718], [-1.3611, 0.2329, 0.1542], [-0.8652, 0.3080, -1.1139], [-1.9369, 0.7737, -2.4285], [0.5875, 0.2728, -1.0865], [0.9633, -0.1235, 0.2228], [2.4165, -0.7841, 0.4715], [-1.1471, -0.8154, 2.6319], [-2.4434, 0.3978, 0.4309], [1.0091, 0.5632, -2.0196], [3.1277, -0.1230, -0.6512]], "forces_ev_per_angstrom": [[-4.4, 0.0, 0.9], [1.8, -0.6, -3.6], [0.3, -0.6, 1.8], [1.1, 1.1, 1.0], [1.3, -0.1, 0.3], [-3.9, -0.1, -1.7], [-5.7, 2.9, -1.0], [5.2, -0.7, -0.8], [3.8, 0.6, -1.0], [1.6, -0.4, -0.3], [0.2, -0.9, 2.4], [-1.2, -1.1, 2.1]], "lumo_ev": 0.5, "homo_lumo_gap_ha": 0.287, "smiles": "Oc1cc(Cl)[nH]c1S", "relative_energy_kj_mol": 208.56, "total_energy_ha": -1143.1078}

[3]
{"formula": "C4H4CuO", "method": "wB97M-V/def2-TZVPD", "symbols": ["H", "C", "C", "C", "C", "O", "Cu", "H", "H", "H"], "positions_angstrom": [[-1.8467, -0.5689, 0.1291], [-1.4243, -0.8518, -0.9058], [-0.1772, -0.0675, -0.9363], [0.3831, 0.3439, 0.2201], [1.1574, 0.6057, 1.1798], [1.9038, 0.7694, 2.1021], [3.3245, 1.6900, 2.6801], [-1.2453, -1.9311, -0.9160], [-2.0941, -0.5077, -1.7098], [0.0188, 0.5181, -1.8432]], "forces_ev_per_angstrom": [[-0.2, -0.9, -1.7], [-1.3, 0.4, 1.9], [0.1, 1.0, -0.8], [0.7, -0.1, -0.6], [-0.4, -0.3, -0.3], [-0.6, -0.4, 0.3], [1.3, 0.8, 0.6], [-0.2, 0.1, -0.2], [0.2, -0.5, 0.4], [0.4, -0.2, 0.3]], "total_charge": 1, "multiplicity": 3, "lumo_ev": [-5.7, -7.0], "homo_lumo_gap_ha": [0.212, 0.280], "relative_energy_kj_mol": 0.00, "total_energy_ha": -1870.0770}

[4]

  • Moody, easily irritated and hard to please. Deals with stress by quitting or ending relationships.
  • Consistently mistrusts others’ intentions. Regularly looks for or finds signs of mistreatment, then challenges or blames others when they perceive it has occurred.
  • Overly concerned about making mistakes or being embarrassed. Defensive and conservative when stressed.
  • Exhibits excessive independence, uncaring or aloofness and is uncomfortable with strangers. When stressed, becomes withdrawn and uncommunicative.
  • Works at their own pace to their own standards. Feels put upon when required to work with a sense of urgency or in a different manner.
  • Tends to over-evaluate their talents. Will not admit mistakes or take advice. Acts out by blustering and bluffing when under pressure.
  • Exhibits fear of taking risks, testing limits, making hasty decisions and not learning from experience. When confronted with mistakes, demands to move on to a different topic.
  • Expecting to be seen by others as talented and interesting while ignoring others’ requests and becoming very busy when under pressure.
  • Eccentric-acting and thinking in creative and sometimes unusual ways. Becomes unpredictable when stressed.
  • Having unrealistic high standards of performance for self and others. Meticulous, precise, picky, critical and stubborn when under pressure.
  • Desire to be seen as cordial, agreeable and eager to please. Reluctant and fearful to take independent action and conforms when under pressure.

Recruiting for leadership success is a complex process, and organizations are now more often seeking to identify future derailing tendencies to screen out candidates who will not be successful. It is critical to be aware of this during an interview process. Be cognizant of how these behaviors can negatively impact your ability to be successful in your security career. They will dilute your ability to influence, gain support and effectively execute on your accountabilities.